Green Janine
My chance meeting on a train in Germany two years ago, led to an unlikely friendship that spans continents with another blonde named Janine. The similarities don't end there. She's also a former TV news anchor who left her job to devote more time to family and personal causes. "Green Janine," as she’s referred to in Germany, is on a mission to save the planet.
In 2014, Janine Steeger left her successful TV news career to dedicate herself to the climate crisis. It was the life growing inside a few years earlier, that prompted the bold move.
What comes next are calculated crystals, not part of the page
........
1.
CdIn2TeSe3: computed powder diffractogram (copper Kα), based on a cell relaxed with GGA-PBE.

Peak list (10 most intense, 2θ = 10–90°, in order of rising 2θ)
2theta, Rel. int.
25.1, 50
25.3, 100
25.9, 38
41.3, 25
41.7, 24
42.1, 24
42.4, 21
42.6, 41
49.4, 13
50.0, 13

Cell and atoms:
```
CdIn2TeSe3
1.0
6.085 0.000 0.000
-0.150 6.120 0.000
-2.902 -2.938 5.996
Cd In Te Se
1 2 1 3
Direct
0.000 0.000 0.000
0.513 0.489 0.001
0.770 0.258 0.511
0.373 0.855 0.290
0.144 0.106 0.733
0.610 0.620 0.732
0.907 0.400 0.267
```

=====

2.
AcDyB4: computed powder diffractogram (copper Kα), based on a cell relaxed with GGA-PBE.

Peak list (10 most intense, 2θ = 10–90°, in order of rising 2θ)
2theta, Rel. int.
21.1, 79
30.8, 71
31.1, 35
37.6, 100
37.9, 49
42.9, 19
53.7, 31
55.1, 18
59.7, 21
68.3, 17

Cell and atoms:
```
AcDyB4
1.0
-1.684 2.876 4.220
1.684 -2.876 4.220
1.684 2.876 -4.220
Ac Dy B
1 1 4
Direct
0.000 0.000 0.000
0.500 0.500 0.000
0.089 0.753 0.336
0.416 0.753 0.664
0.584 0.247 0.336
0.911 0.247 0.664
```

=====

3.
TcPdO3: computed powder diffractogram (copper Kα), based on a cell relaxed with GGA-PBE.

Peak list (10 most intense, 2θ = 10–90°, in order of rising 2θ)
2theta, Rel. int.
23.1, 33
31.4, 100
34.2, 95
47.1, 36
51.2, 54
59.5, 34
61.3, 29
67.2, 15
80.8, 12
87.7, 14

Cell and atoms:
```
TcPdO3
1.0
2.620 1.513 4.877
-2.620 1.513 4.877
0.000 -3.025 4.877
Tc Pd O
2 2 6
Direct
0.153 0.153 0.153
0.847 0.847 0.847
0.357 0.357 0.357
0.643 0.643 0.643
0.052 0.441 0.780
0.220 0.948 0.559
0.441 0.780 0.052
0.559 0.220 0.948
0.780 0.052 0.441
0.948 0.559 0.220
```

=====

4.
TlReNO: computed powder diffractogram (copper Kα), based on a cell relaxed with GGA-PBE.

Peak list (10 most intense, 2θ = 10–90°, in order of rising 2θ)
2theta, Rel. int.
25.4, 36
26.1, 23
31.2, 58
31.8, 100
34.5, 22
36.0, 37
45.2, 23
47.2, 19
59.1, 21
63.9, 21

Cell and atoms:
```
TlReNO
1.0
7.017 0.000 0.000
0.000 7.802 0.000
0.000 0.000 4.984
Tl Re N O
4 4 4 4
Direct
0.084 0.139 0.000
0.416 0.139 0.500
0.584 0.861 0.000
0.916 0.861 0.500
0.055 0.557 0.004
0.445 0.557 0.504
0.555 0.443 0.004
0.945 0.443 0.504
0.187 0.518 0.660
0.313 0.518 0.160
0.687 0.482 0.660
0.813 0.482 0.160
0.005 0.789 0.995
0.495 0.789 0.495
0.505 0.211 0.995
0.995 0.211 0.495
```

=====

5.
GdZr6Pb4: computed powder diffractogram (copper Kα), based on a cell relaxed with GGA-PBE.

Peak list (10 most intense, 2θ = 10–90°, in order of rising 2θ)
2theta, Rel. int.
29.0, 100
31.1, 35
33.0, 77
33.8, 57
36.6, 79
36.8, 78
38.5, 64
44.5, 51
60.1, 60
70.3, 53

Cell and atoms:
```
GdZr6Pb4
1.0
3.078 1.777 8.150
-3.078 1.777 8.150
0.000 -3.554 8.150
Gd Zr Pb
1 6 4
Direct
0.000 0.000 0.000
0.109 0.603 0.603
0.397 0.397 0.891
0.397 0.891 0.397
0.603 0.109 0.603
0.603 0.603 0.109
0.891 0.397 0.397
0.124 0.124 0.124
0.333 0.333 0.333
0.667 0.667 0.667
0.876 0.876 0.876
```

=====

6.
La2NdZn2Si4Pt2: computed powder diffractogram (copper Kα), based on a cell relaxed with GGA-PBE.
........
“I was sitting on the sofa with a baby in my belly, watching news of the Fukushima nuclear disaster in Japan. I had one big question, are we crazy? What are we doing with our earth? From that moment on, I made several changes. When I tried to get my own show about sustainability at the TV station I was working at, they said, nobody is interested in that.”
Steeger quit her job without a plan. She quickly found her purpose: to educate others about sustainability. “Green Janine” traded in her automobile for a cargo bike and wants others to do the same. People kept asking her questions about her new lifestyle changes. She answered them all and more when she wrote the book, Going Green. It’s getting rave reviews in Europe and making an impact.
Going Green
“The feedback is fantastic. People are getting inspired by my story. They realize everybody matters in the fight against the climate crisis. We must encourage each other to get involved. That you asked me for this interview is fabulous. Now I have the chance to persuade your network as well.”
Steeger’s influence has even led her 9 year old son to follow his mom’s footsteps; developing his own podcast, during lockdown. No topic is off limits for Mika’s news channel; from politics to preservation and everything in between.
Slowly, but surely, more people in Germany are listening to the message in her book, Going Green. Big changes are even happening at her old news network. Turns out, people do care and they are finally taking notice.
“The funny thing is my former employer announced two weeks ago that they will produce a daily climate show like CNN does. This is an example of empowering change for the future. But we still have a long ways to go.”
Steeger says she has no desire to go back to that network news job. Since the success of her book, she’s created a new career for herself as a freelancer. Green Janine loves her new life, moderating panel discussions on the climate crisis. Her commitment to sustainability continues and she’s optimistic about the future.
“Germany and Europe are on a good path now. The economy is in transformation to shift to climate neutral 2050. We hope to have the first “green chancellor” in autumn to work together with President Joe Biden on global climate action.”
Steeger says choosing green travel is a great place to start. In addition to using her cargo bike for transportation, she travels by train, rather than plane, whenever possible. Which is lucky for me, or we never would have met.
### Crystal structures that have nothing to do with the text
____________
# Sm6YTh4
Computed powder diffractogram, copper Kα. Input: a GGA-PBE-relaxed structure.
No peak broadening, texture or thermal motion is included.

Atomic structure:
a = 3.477 Å, b = 5.919 Å, c = 36.023 Å
α = 90.00°, β = 90.00°, γ = 90.00°
Space group Immm (No. 71)
Asymmetric unit:
Sm (0.000, 0.000, 0.095) x4
Sm (0.000, 0.000, 0.268) x4
Sm (0.000, 0.000, 0.369) x4
Y (0.000, 0.500, 0.500) x2
Th (0.000, 0.500, 0.043) x4
Th (0.000, 0.500, 0.318) x4

Peak list (10 most intense, 15 to 90 degrees two-theta, by angle)
2θ/deg  Rel. int.  (hkl)
16.7  178  0 1 3
26.7  367  1 0 3
28.5  166  1 0 5
30.2  674  0 2 0
31.2  1000  0 1 11
33.4  382  1 1 6
36.0  483  1 1 8
40.7  244  1 2 3
54.3  214  0 3 11
62.5  281  2 1 11

----------

This entry pairs a crystal structure of Tl3S2I with its computed powder X-ray diffraction pattern. Radiation: Cu Kα. Structure: a crystal structure in Alexandria, relaxed with PBE.

Structure:
```
data_Tl3S2I
_chemical_formula_sum 'Tl6 S4 I2'
_cell_length_a 5.3885
_cell_length_b 16.6200
_cell_length_c 4.5288
_cell_angle_alpha 90.00
_cell_angle_beta 90.00
_cell_angle_gamma 90.00
_space_group_name_H-M_alt 'P 1'
_space_group_IT_number 1
loop_
_space_group_symop_operation_xyz
'x,y,z'
loop_
_atom_site_label
_atom_site_type_symbol
_atom_site_fract_x
_atom_site_fract_y
_atom_site_fract_z
Tl1 Tl 0.2500 0.0500 0.2451
Tl2 Tl 0.2500 0.4500 0.2451
Tl3 Tl 0.2500 0.7500 0.6919
Tl4 Tl 0.7500 0.2500 0.3081
Tl5 Tl 0.7500 0.5500 0.7549
Tl6 Tl 0.7500 0.9500 0.7549
S1 S 0.2500 0.5616 0.7489
S2 S 0.2500 0.9384 0.7489
S3 S 0.7500 0.0616 0.2511
S4 S 0.7500 0.4384 0.2511
I1 I 0.2500 0.2500 0.8072
I2 I 0.7500 0.7500 0.1928
```

Principal peaks in the range 2θ from 5° to 70°, sorted by position:
2θ = 20.32°, d 4.369, I = 15, (0 1 1); 2θ = 21.39°, d 4.155, I = 29, (0 4 0); 2θ = 23.02°, d 3.863, I = 26, (1 3 0); 2θ = 25.40°, d 3.506, I = 19, (0 3 1); 2θ = 27.88°, d 3.200, I = 100, (1 2 1); 2θ = 33.25°, d 2.694, I = 30, (2 0 0); 2θ = 33.44°, d 2.680, I = 26, (0 5 1); 2θ = 39.84°, d 2.263, I = 26, (0 0 2); 2θ = 47.88°, d 1.900, I = 19, (2 5 1); 2θ = 51.27°, d 1.782, I = 18, (1 8 1); 2θ = 52.81°, d 1.733, I = 13, (2 0 2); 2θ = 56.19°, d 1.637, I = 16, (3 2 1)

***

This entry pairs a crystal structure of Li3IrO4 with its computed powder X-ray diffraction pattern. Radiation: Cu Kα. Structure: a crystal structure in Alexandria, relaxed with PBE.

Structure:
```
data_Li3IrO4
_chemical_formula_sum 'Li6 Ir2 O8'
_cell_length_a 5.1464
_cell_length_b 5.9948
_cell_length_c 5.2078
_cell_angle_alpha 90.00
_cell_angle_beta 110.15
_cell_angle_gamma 90.00
_space_group_name_H-M_alt 'P 1'
_space_group_IT_number 1
loop_
_space_group_symop_operation_xyz
'x,y,z'
loop_
_atom_site_label
_atom_site_type_symbol
_atom_site_fract_x
_atom_site_fract_y
_atom_site_fract_z
Li1 Li 0.0000 0.0939 0.2500
Li2 Li 0.0000 0.3611 0.7500
Li3 Li 0.0000 0.6389 0.2500
Li4 Li 0.0000 0.9061 0.7500
Li5 Li 0.5000 0.1149 0.7500
Li6 Li 0.5000 0.8851 0.2500
Ir1 Ir 0.5000 0.3609 0.2500
____________
I’m grateful for her friendship and the courageous way she pursues her passion to restore our earth. Together, as we enjoyed the scenic views in that train carriage, I was inspired by her authenticity and drive to remind us all to do our part. Because, as Green Janine says, “There is no planet B.”
Meet Green Janine
Janine Steeger lives with her husband and son in Cologne, Germany. When she’s not busy working, she’s soaking up the sunshine at the sea, which motivates her to keep “going green!”
Learn more about Green Janine
Crystal structures that have nothing to do with the entry >
'''
The following is a computed powder X-ray diffraction pattern of LiSn3P6O20. It was derived from the GGA-PBE geometry in the Materials Project, using λ = 1.5418 Å (Cu Kα).

The 10 most intense peaks (2θ = 10–90°), by angle:
2θ = 12.66°, I = 58
2θ = 14.15°, I = 45
2θ = 17.64°, I = 55
2θ = 21.03°, I = 100
2θ = 22.03°, I = 42
2θ = 22.21°, I = 70
2θ = 25.46°, I = 63
2θ = 28.52°, I = 40
2θ = 31.50°, I = 42
2θ = 45.34°, I = 37

Atomic structure:
abc: 8.768 8.768 12.518
angles: 90.00 90.00 105.54
Element x y z (fractional)
Li 0.083 0.083 0.000
Li 0.917 0.917 0.500
Sn 0.203 0.797 0.750
Sn 0.276 0.724 0.250
Sn 0.374 0.374 0.000
Sn 0.626 0.626 0.500
Sn 0.724 0.276 0.750
Sn 0.797 0.203 0.250
P 0.122 0.407 0.682
P 0.183 0.281 0.223
P 0.215 0.645 0.516
P 0.281 0.183 0.777
P 0.355 0.785 0.984
P 0.407 0.122 0.318
P 0.593 0.878 0.818
P 0.645 0.215 0.484
P 0.719 0.817 0.277
P 0.785 0.355 0.016
P 0.817 0.719 0.723
P 0.878 0.593 0.182
O 0.031 0.234 0.290
O 0.037 0.711 0.195
O 0.136 0.464 0.561
O 0.146 0.755 0.589
O 0.151 0.643 0.404
O 0.166 0.549 0.757
O 0.174 0.184 0.873
O 0.184 0.174 0.127
O 0.234 0.031 0.710
O 0.237 0.455 0.190
O 0.245 0.854 0.911
O 0.257 0.317 0.691
O 0.289 0.963 0.305
O 0.317 0.257 0.309
O 0.324 0.608 0.970
O 0.357 0.849 0.096
O 0.392 0.676 0.530
O 0.451 0.834 0.743
O 0.455 0.237 0.810
O 0.464 0.136 0.439
O 0.536 0.864 0.939
O 0.545 0.763 0.310
O 0.549 0.166 0.243
O 0.608 0.324 0.030
O 0.643 0.151 0.596
O 0.676 0.392 0.470
O 0.683 0.743 0.809
O 0.711 0.037 0.805
O 0.743 0.683 0.191
O 0.755 0.146 0.411
O 0.763 0.545 0.690
O 0.766 0.969 0.210
O 0.816 0.826 0.627
O 0.826 0.816 0.373
O 0.834 0.451 0.257
O 0.849 0.357 0.904
O 0.854 0.245 0.089
O 0.864 0.536 0.061
O 0.963 0.289 0.695
O 0.969 0.766 0.790



The following is a computed powder X-ray diffraction pattern of Mn3Cd. It was derived from the GGA-PBE geometry in the Materials Project, using λ = 1.5418 Å (Cu Kα).

The 10 most intense peaks (2θ = 10–90°), by angle:
2θ = 24.38°, I = 11
2θ = 28.22°, I = 6
2θ = 40.34°, I = 100
2θ = 47.69°, I = 5
2θ = 58.37°, I = 16
2θ = 64.19°, I = 2
2θ = 66.07°, I = 2
2θ = 73.34°, I = 30
2θ = 78.61°, I = 2
2θ = 87.19°, I = 10

Atomic structure:
abc: 4.472 4.472 4.472
angles: 60.00 60.00 60.00
Element x y z (fractional)
Mn 0.000 0.000 0.000
Mn 0.250 0.250 0.250
Mn 0.750 0.750 0.750
Cd 0.500 0.500 0.500



The following is a computed powder X-ray diffraction pattern of CsBaMg14. It was derived from the GGA-PBE geometry in the Materials Project, using λ = 1.5418 Å (Cu Kα).

The 10 most intense peaks (2θ = 10–90°), by angle:
2θ = 15.05°, I = 24
2θ = 15.98°, I = 26
2θ = 17.05°, I = 40
2θ = 22.02°, I = 27
2θ = 30.73°, I = 28
2θ = 31.79°, I = 22
2θ = 32.28°, I = 35
2θ = 34.50°, I = 46
2θ = 34.82°, I = 100
2θ = 45.17°, I = 19

Atomic structure:
abc: 11.093 6.772 6.772
angles: 59.25 90.00 90.00
Element x y z (fractional)
Cs 0.000 0.000 0.000
Ba 0.000 0.496 0.496
Mg 0.000 0.503 0.996
Mg 0.000 0.996 0.503
Mg 0.260 0.676 0.676
Mg 0.265 0.178 0.178
Mg 0.280 0.168 0.664
'''
Follow her on Instagram @janine_steeger and LinkedIn
Read her book, Going Green (Brush up on your German first! Not available in English yet.)